Excerpt:
MgP6H24N4O22 | Materials Project | PBE | relaxed; ΔH_f (0 K) = -1.648 eV/atom; magnetization = 0.0 Bohr magnetons per cell; calculated volume = 10.23 Å³/atom; E = -5.9038 eV/atom
1.0
14.9535 0.0000 0.0000
0.0000 8.7050 0.0000
0.0000 0.6736 8.9564
O P H N Mg
44 12 48 8 2
direct
0.9573 0.7327 0.6443 O
0.6032 0.4168 0.8938 O
0.9039 0.1556 0.0688 O
0.9010 0.5416 0.1279 O
0.2633 0.4260 0.2011 O
0.4515 0.1627 0.3397 O
0.4039 0.8444 0.4312 O
0.2664 0.9726 0.2913 O
0.5961 0.1556 0.5688 O
0.9515 0.8373 0.1603 O
0.3968 0.5832 0.1062 O
0.4496 0.7723 0.9018 O
0.5990 0.5416 0.6279 O
0.5504 0.2277 0.0982 O
0.5485 0.8373 0.6603 O
0.0485 0.1627 0.8397 O
0.2367 0.4260 0.7011 O
0.0961 0.8444 0.9312 O
0.2930 0.6831 0.3009 O
0.6092 0.1328 0.8566 O
0.5427 0.7327 0.1443 O
0.7633 0.5740 0.2989 O
0.1032 0.5832 0.6062 O
0.2336 0.9726 0.7913 O
0.4010 0.4584 0.3721 O
0.8968 0.4168 0.3938 O
0.1092 0.8672 0.6434 O
0.4081 0.0782 0.6507 O
0.7070 0.3169 0.6991 O
0.8908 0.1328 0.3566 O
0.3908 0.8672 0.1434 O
0.2070 0.6831 0.8009 O
0.7930 0.3169 0.1991 O
0.9081 0.9218 0.8493 O
0.9496 0.2277 0.5982 O
0.0504 0.7723 0.4018 O
0.4573 0.2673 0.8557 O
0.0990 0.4584 0.8721 O
0.0919 0.0782 0.1507 O
0.7336 0.0274 0.7087 O
0.0427 0.2673 0.3557 O
0.7664 0.0274 0.2087 O
0.5919 0.9218 0.3493 O
0.7367 0.5740 0.7989 O
0.3384 0.5229 0.2529 P
0.6616 0.4771 0.7471 P
0.4529 0.7403 0.0676 P
0.1616 0.5229 0.7529 P
0.6615 0.1475 0.6964 P
0.9529 0.2597 0.4324 P
0.8385 0.1475 0.1964 P
0.5471 0.2597 0.9324 P
0.0471 0.7403 0.5676 P
0.1615 0.8525 0.8036 P
0.3385 0.8525 0.3036 P
0.8384 0.4771 0.2471 P
0.4290 0.2661 0.3616 H
0.0927 0.6428 0.2679 H
0.2011 0.1027 0.6001 H
0.7011 0.8973 0.8999 H
0.4073 0.6428 0.7679 H
0.0165 0.1776 0.7428 H
0.9297 0.8519 0.7736 H
0.7634 0.7225 0.4592 H
0.2634 0.2775 0.0408 H
0.0710 0.2661 0.8616 H
0.6580 0.4876 0.3169 H
0.7366 0.7225 0.9592 H
0.2366 0.2775 0.5408 H
0.6365 0.9900 0.2994 H
0.1009 0.6528 0.0800 H
0.9835 0.8224 0.2572 H
0.2989 0.1027 0.1001 H
0.7441 0.8750 0.0730 H
0.2559 0.1250 0.9270 H
0.0439 0.5095 0.1694 H
0.1443 0.2078 0.4611 H
0.5703 0.8519 0.2736 H
0.4297 0.1481 0.7264 H
0.8635 0.9900 0.7994 H
0.3557 0.2078 0.9611 H
0.7989 0.8973 0.3999 H
0.1365 0.0100 0.2006 H
0.8991 0.3472 0.9200 H
0.0703 0.1481 0.2264 H
0.8557 0.7922 0.5389 H
0.1580 0.5124 0.1831 H
0.9561 0.4905 0.8306 H
0.7559 0.8750 0.5730 H
0.6443 0.7922 0.0389 H
0.5710 0.7339 0.6384 H
0.5927 0.3572 0.2321 H
0.5439 0.4905 0.3306 H
0.6009 0.3472 0.4200 H
0.8420 0.4876 0.8169 H
0.2441 0.1250 0.4270 H
0.3635 0.0100 0.7006 H
0.3991 0.6528 0.5800 H
0.4835 0.1776 0.2428 H
0.5165 0.8224 0.7572 H
0.4561 0.5095 0.6694 H
0.9290 0.7339 0.1384 H
0.3420 0.5124 0.6831 H
0.9073 0.3572 0.7321 H
0.7069 0.8214 0.9937 N
0.4006 0.5785 0.6753 N
0.7931 0.8214 0.4937 N
0.5994 0.4215 0.3247 N
0.9006 0.4215 0.8247 N
0.2931 0.1786 0.0063 N
0.2069 0.1786 0.5063 N
0.0994 0.5785 0.1753 N
0.0000 0.0000 0.0000 Mg
0.5000 0.0000 0.5000 Mg


1.
A plane-wave DFT calculation with PBE-GGA was carried out for Ba2MoN3 after structural relaxation.

extended XYZ file:
```
24
Lattice="6.678 -0.023 0.093 -10.549 5.466 0.000 -0.189 -0.364 13.385" Properties=species:S:1:pos:R:3 pbc="T T T"
Ba 2.518 0.013 11.621
Ba -1.347 2.247 4.929
Ba -3.439 3.465 1.192
Ba -0.620 1.613 12.286
Ba -2.712 2.831 8.549
Ba 1.770 0.606 5.594
Ba -5.829 4.472 7.884
Ba -6.577 5.065 1.857
N -1.011 2.201 1.719
N 2.287 0.261 8.412
N -5.613 2.562 10.039
N 1.637 0.839 0.745
N -5.125 2.540 3.346
N -3.048 2.877 11.759

Assignment:
Type out only the lines earlier on with the word "plane-wave" in them.

Solution:
A plane-wave DFT calculation with PBE-GGA was carried out for Ba2MoN3 after structural relaxation.